(Entries)
/*
Record 1
This record from OMol25 describes a cluster of 2 separate species, C2H8O in total in a non-equilibrium geometry. The level of theory is ωB97M-V/def2-TZVPD.

Each line ends with the natural charge from an NBO analysis.
CARTESIAN COORDINATES (ANGSTROEM)
C: 0.76 0.06 -1.39  -0.6006
C: 1.57 -1.04 -0.87  -0.6016
H: -0.08 0.33 -0.72  0.1961
H: 0.35 -0.14 -2.40  0.2044
H: 1.45 0.92 -1.45  0.1987
H: 2.32 -1.26 -1.65  0.2007
H: 0.94 -1.93 -0.71  0.1983
H: 2.10 -0.82 0.08  0.2039
O: -3.24 1.11 3.38  -0.9398
H: -3.84 1.40 2.66  0.4700
H: -2.34 1.35 3.07  0.4699

E_LUMO ... 0.0273 Ha
Energy above the lowest of the compared OMol25 structures with the same formula, charge and spin ... 3.6 kcal/mol
HOMO ... -11.58 eV
Orbital gap ... 12.33 eV
Max |F| ... 2.047 eV/Å
Total charge ... 0


Record 2
This record from OMol25 describes a cluster of 2 separate species, C2H8O2 in total in a non-equilibrium geometry. The level of theory is ωB97M-V/def2-TZVPD.

Each line ends with the natural charge from an NBO analysis.
CARTESIAN COORDINATES (ANGSTROEM)
C: 0.73 -0.03 1.96  -0.2582
O: 0.86 -1.12 1.08  -0.7505
H: 1.13 -1.95 1.52  0.4805
H: 1.47 0.01 2.73  0.1810
H: -0.39 -0.02 2.16  0.1743
H: 0.90 0.92 1.47  0.1775
C: -0.92 0.67 -1.95  -0.2311
O: -0.36 -0.59 -2.05  -0.7316
H: -0.11 -0.94 -1.06  0.4871
H: -1.98 0.66 -1.72  0.1478
H: -0.40 1.34 -1.23  0.1508
H: -0.94 1.05 -2.89  0.1726

E_LUMO ... 0.0278 Ha
Energy above the lowest of the compared OMol25 structures with the same formula, charge and spin ... 31.8 kcal/mol
HOMO ... -9.83 eV
Orbital gap ... 10.58 eV
Max |F| ... 4.433 eV/Å
Total charge ... 0


Record 3
This record from OMol25 describes a cluster of 3 separate species, C2H8O2 in total in a non-equilibrium geometry. The level of theory is ωB97M-V/def2-TZVPD.

Each line ends with the natural charge from an NBO analysis.
CARTESIAN COORDINATES (ANGSTROEM)
C: 0.28 -2.06 0.91  -0.3725
C: -0.61 -1.55 0.01  -0.3934
H: 0.88 -2.84 0.65  0.1883
H: 0.25 -1.91 1.94  0.1900
H: -0.47 -1.57 -1.09  0.1910
H: -1.55 -1.06 0.24  0.1967
H: 1.84 2.39 -0.94  0.4696
H: 1.93 0.89 -0.52  0.4741
O: 2.34 1.59 -1.06  -0.9440
H: -2.08 2.45 -0.39  0.4557
H: -1.15 1.59 -0.14  0.4486
O: -1.65 2.11 0.39  -0.9041

E_LUMO ... 0.0201 Ha
Energy above the lowest of the compared OMol25 structures with the same formula, charge and spin ... 36.3 kcal/mol
HOMO ... -10.11 eV
Orbital gap ... 10.66 eV
Max |F| ... 5.254 eV/Å
Total charge ... 0


Record 4
This record from OMol25 describes a cluster of 3 separate species, C2H8O3 in total in a non-equilibrium geometry. The level of theory is ωB97M-V/def2-TZVPD.

Each line ends with the natural charge from an NBO analysis.
CARTESIAN COORDINATES (ANGSTROEM)
O: 0.52 0.93 0.25  -0.5551
C: 1.30 1.15 -0.63  0.4423
C: 1.46 0.27 -1.79  -0.7284
H: 1.93 2.05 -0.57  0.1131
H: 0.99 0.84 -2.64  0.2498
H: 1.07 -0.78 -1.55  0.2491
H: 2.49 0.23 -2.10  0.2310
H: -0.98 -1.20 -0.14  0.4732
H: -2.30 -1.91 -0.01  0.4671
O: -1.48 -1.99 -0.47  -0.9424
H: -1.43 -0.04 2.51  0.4651
H: -1.51 0.43 3.84  0.4493
O: -2.04 0.02 3.30  -0.9142

E_LUMO ... 0.0278 Ha
Energy above the lowest of the compared OMol25 structures with the same formula, charge and spin ... 18.1 kcal/mol
HOMO ... -10.45 eV
Orbital gap ... 11.21 eV
Max |F| ... 7.451 eV/Å
Total charge ... 0

~~~~~

(1)
Molecular formula: C3H7NO2S
Method: DFT, ωB97M-V/def2-TZVPD

XYZ file:
```
14
Properties=species:S:1:pos:R:3:lowdin_charge:R:1
N -0.5130 -1.4292 -0.1037 0.007
C -0.0028 -0.0688 -0.2195 -0.487
C -0.6902 0.7456 0.9018 -0.545
S -2.3296 0.9183 0.1930 0.681
C 1.4691 0.0116 -0.0937 -0.431
O 2.0848 0.6133 0.7134 0.153
O 2.0667 -1.0064 -0.9396 0.045
H -1.4964 -1.2113 -0.4330 0.040
H -0.0296 -2.1176 -0.7648 0.112
H -0.5342 0.4563 -1.1685 0.133
H -0.2737 1.6948 0.9599 0.034
H -0.8316 0.1891 1.9446 0.135
H -1.8596 2.3226 -0.4102 0.031
H 2.9402 -1.1181 -0.5799 0.090
```

Properties
Frontier orbital gap in eV: 9.641
E_tot in eV: -19643.200
2S+1: 1
Structure (SMILES): N[C@@H](CS)C(=O)O
*/

(Request)
Search the data further up for the word "file" and type out each line that has it, please.

(Response)
XYZ file: